[Wanted]
Retype only the last part of the notes underneath, starting with the line that has "Sm: 0.2226".

[Source]
For SrBi4Pb, a structure optimized by DFT (PBE) gives the computed X-ray diffraction stick pattern in this record (Cu Kα X-rays).
No peak broadening, texture or thermal motion is included.

Principal peaks in the range 5 to 70 degrees two-theta, most intense first:
31.52 deg, d = 2.838 Å, I 100
32.97 deg, d = 2.717 Å, I 53
50.38 deg, d = 1.811 Å, I 37
55.20 deg, d = 1.664 Å, I 34
65.82 deg, d = 1.419 Å, I 23
16.31 deg, d = 5.434 Å, I 20
26.79 deg, d = 3.328 Å, I 17
64.97 deg, d = 1.435 Å, I 13
38.25 deg, d = 2.353 Å, I 11
47.31 deg, d = 1.921 Å, I 7

Cell and atoms:
Unit cell a=6.6557 b=6.6557 c=6.6557 alpha=60.00 beta=60.00 gamma=60.00
Positions (direct):
Sr (0.0000, 0.0000, 0.0000)
Bi (0.3756, 0.3756, 0.3756)
Bi (0.3756, 0.3756, 0.8731)
Bi (0.3756, 0.8731, 0.3756)
Bi (0.8731, 0.3756, 0.3756)
Pb (0.7500, 0.7500, 0.7500)

~~~~~

For NdTmTaN3, DFT lattice parameters and positions (GGA-PBE) gives the calculated XRD peak list in this record (Cu Kα X-rays).

Structure:
Unit cell a=7.300 b=3.426 c=8.019 alpha=90.00 beta=92.84 gamma=90.00
Fractional coordinates of all 12 atoms:
Nd (0.155, 0.250, 0.167)
Nd (0.845, 0.750, 0.833)
Tm (0.386, 0.750, 0.855)
Tm (0.614, 0.250, 0.145)
Ta (0.127, 0.250, 0.580)
Ta (0.873, 0.750, 0.420)
N (0.142, 0.250, 0.832)
N (0.173, 0.750, 0.451)
N (0.394, 0.750, 0.126)
N (0.606, 0.250, 0.874)
N (0.827, 0.250, 0.549)
N (0.858, 0.750, 0.168)

The 10 most intense peaks (2θ from 15° to 90°), by intensity:
d_spacing	I/Imax	hkl
2.497	1000	2 1 0
2.603	814	0 1 2
5.530	597	1 0 -1
2.765	457	2 0 -2
2.632	346	2 0 2
2.670	286	0 0 3
2.872	240	1 1 1
2.002	185	0 0 4
1.516	183	4 1 -2
1.713	182	0 2 0

~~~~~

1.
Structure and calculated powder XRD pattern of PmSm7Dy2 (a DFT-relaxed cell (GGA-PBE, Alexandria); CuKα).
Neutral-atom scattering factors, no anomalous dispersion.

Atomic structure:
a = 9.2348 Å, b = 9.2348 Å, c = 5.6840 Å
α = 90.00°, β = 90.00°, γ = 122.68°
Atoms (fractional coordinates):
Pm: 0.0000 0.0000 0.0000
Sm: 0.0634 0.2936 0.5000
Sm: 0.2226 0.7774 0.0000
Sm: 0.2936 0.0634 0.5000
Sm: 0.5000 0.5000 0.5000
Sm: 0.7064 0.9366 0.5000
Sm: 0.7774 0.2226 0.0000
Sm: 0.9366 0.7064 0.5000
Dy: 0.2958 0.7042 0.5000
Dy: 0.7042 0.2958 0.5000

Top 10 peaks for 2θ = 10–90°, by angle:
2θ (°)	I_rel
15.59	53
20.05	23
27.03	34
29.89	60
31.48	58
33.39	100
34.67	66
43.96	42
61.88	25
62.59	25

---

2.
Structure and calculated powder XRD pattern of PmSm12Dy6 (a DFT-relaxed cell (GGA-PBE, Alexandria); CuKα).
Neutral-atom scattering factors, no anomalous dispersion.

Atomic structure:
a = 8.7930 Å, b = 8.7930 Å, c = 8.7930 Å
α = 98.81°, β = 98.81°, γ = 98.81°
Atoms (fractional coordinates):
Pm: 0.0000 0.0000 0.0000
Sm: 0.0832 0.3553 0.3553
Sm: 0.2410 0.5000 0.7590
Sm: 0.2410 0.7590 0.5000
Sm: 0.3553 0.0832 0.3553
Sm: 0.3553 0.3553 0.0832
Sm: 0.5000 0.2410 0.7590
Sm: 0.5000 0.7590 0.2410
Sm: 0.6447 0.6447 0.9168
Sm: 0.6447 0.9168 0.6447
Sm: 0.7590 0.2410 0.5000
Sm: 0.7590 0.5000 0.2410
Sm: 0.9168 0.6447 0.6447
Dy: 0.0982 0.0982 0.6604
Dy: 0.0982 0.6604 0.0982
Dy: 0.3396 0.9018 0.9018
Dy: 0.6604 0.0982 0.0982
Dy: 0.9018 0.3396 0.9018
Dy: 0.9018 0.9018 0.3396

Top 10 peaks for 2θ = 10–90°, by angle:
2θ (°)	I_rel
28.71	26
29.20	51
31.25	59
31.40	71
31.74	100
34.08	37
34.22	30
34.54	32
55.01	24
56.43	29

---

3.
Structure and calculated powder XRD pattern of Pm3Sm6Dy2 (a DFT-relaxed cell (GGA-PBE, Alexandria); CuKα).
Neutral-atom scattering factors, no anomalous dispersion.

Atomic structure:
a = 17.1326 Å, b = 17.1326 Å, c = 17.1326 Å
α = 163.88°, β = 163.88°, γ = 22.88°
Atoms (fractional coordinates):
Pm: 0.0000 0.0000 0.0000
Pm: 0.2005 0.2005 0.0000
Pm: 0.7995 0.7995 0.0000
Sm: 0.1199 0.6199 0.5000
Sm: 0.3030 0.3030 0.0000
Sm: 0.3801 0.8801 0.5000
Sm: 0.6199 0.1199 0.5000
Sm: 0.6970 0.6970 0.0000
Sm: 0.8801 0.3801 0.5000
Dy: 0.4545 0.4545 0.0000
Dy: 0.5455 0.5455 0.0000

Top 10 peaks for 2θ = 10–90°, by angle:
2θ (°)	I_rel
26.23	19
28.33	100
31.98	23
33.94	75
37.43	61
50.03	26
53.97	22
61.61	22
62.07	22
65.30	23

---

4.

[Here it is]
Sm: 0.2226 0.7774 0.0000
Sm: 0.2936 0.0634 0.5000
Sm: 0.5000 0.5000 0.5000
Sm: 0.7064 0.9366 0.5000
Sm: 0.7774 0.2226 0.0000
Sm: 0.9366 0.7064 0.5000
Dy: 0.2958 0.7042 0.5000
Dy: 0.7042 0.2958 0.5000

Top 10 peaks for 2θ = 10–90°, by angle:
2θ (°)	I_rel
15.59	53
20.05	23
27.03	34
29.89	60
31.48	58
33.39	100
34.67	66
43.96	42
61.88	25
62.59	25

---

2.
Structure and calculated powder XRD pattern of PmSm12Dy6 (a DFT-relaxed cell (GGA-PBE, Alexandria); CuKα).
Neutral-atom scattering factors, no anomalous dispersion.

Atomic structure:
a = 8.7930 Å, b = 8.7930 Å, c = 8.7930 Å
α = 98.81°, β = 98.81°, γ = 98.81°
Atoms (fractional coordinates):
Pm: 0.0000 0.0000 0.0000
Sm: 0.0832 0.3553 0.3553
Sm: 0.2410 0.5000 0.7590
Sm: 0.2410 0.7590 0.5000
Sm: 0.3553 0.0832 0.3553
Sm: 0.3553 0.3553 0.0832
Sm: 0.5000 0.2410 0.7590
Sm: 0.5000 0.7590 0.2410
Sm: 0.6447 0.6447 0.9168
Sm: 0.6447 0.9168 0.6447
Sm: 0.7590 0.2410 0.5000
Sm: 0.7590 0.5000 0.2410
Sm: 0.9168 0.6447 0.6447
Dy: 0.0982 0.0982 0.6604
Dy: 0.0982 0.6604 0.0982
Dy: 0.3396 0.9018 0.9018
Dy: 0.6604 0.0982 0.0982
Dy: 0.9018 0.3396 0.9018
Dy: 0.9018 0.9018 0.3396

Top 10 peaks for 2θ = 10–90°, by angle:
2θ (°)	I_rel
28.71	26
29.20	51
31.25	59
31.40	71
31.74	100
34.08	37
34.22	30
34.54	32
55.01	24
56.43	29

---

3.
Structure and calculated powder XRD pattern of Pm3Sm6Dy2 (a DFT-relaxed cell (GGA-PBE, Alexandria); CuKα).
Neutral-atom scattering factors, no anomalous dispersion.

Atomic structure:
a = 17.1326 Å, b = 17.1326 Å, c = 17.1326 Å
α = 163.88°, β = 163.88°, γ = 22.88°
Atoms (fractional coordinates):
Pm: 0.0000 0.0000 0.0000
Pm: 0.2005 0.2005 0.0000
Pm: 0.7995 0.7995 0.0000
Sm: 0.1199 0.6199 0.5000
Sm: 0.3030 0.3030 0.0000
Sm: 0.3801 0.8801 0.5000
Sm: 0.6199 0.1199 0.5000
Sm: 0.6970 0.6970 0.0000
Sm: 0.8801 0.3801 0.5000
Dy: 0.4545 0.4545 0.0000
Dy: 0.5455 0.5455 0.0000

Top 10 peaks for 2θ = 10–90°, by angle:
2θ (°)	I_rel
26.23	19
28.33	100
31.98	23
33.94	75
37.43	61
50.03	26
53.97	22
61.61	22
62.07	22
65.30	23

---

4.